== Job ==
Find the line below that holds "-0.466 eV", then copy that line and all lines after it there.

== Data ==
- - -
1.
The following is a PBE calculation of a relaxed SnBi2Te4 crystal, from the Materials Project database.

Properties
Polymorph energy (0 for the lowest one) ... 0.0 kJ per mole of atoms
Formation energy from the elements ... -0.497 eV per atom
Final energy ... -26.15 eV for the cell shown

Cell lengths 14.3293, 14.3293, 14.3293 Å; angles 17.96, 17.96, 17.96 degrees
Atoms (fractional coordinates):
Sn (0.0000, 0.0000, 0.0000)
Bi (0.5732, 0.5732, 0.5732)
Bi (0.4268, 0.4268, 0.4268)
Te (0.8663, 0.8663, 0.8663)
Te (0.7115, 0.7115, 0.7115)
Te (0.2885, 0.2885, 0.2885)
Te (0.1337, 0.1337, 0.1337)

---

2.
The following is a PBE calculation of a relaxed SnBi2Te4 crystal, from the Materials Project database.

Properties
Polymorph energy (0 for the lowest one) ... 2.9 kJ per mole of atoms
Formation energy from the elements ... -0.466 eV per atom
Final energy ... -129.70 eV for the cell shown

Cell lengths 14.9698, 14.9698, 23.3571 Å; angles 56.58, 56.58, 17.11 degrees
Atoms (fractional coordinates):
Sn (0.2017, 0.2017, 0.5957)
Sn (0.1975, 0.1975, 0.3269)
Sn (0.7967, 0.7967, 0.4026)
Sn (0.8328, 0.8328, 0.1037)
Sn (0.5788, 0.5788, 0.0862)
Bi (0.4103, 0.4103, 0.9126)
Bi (0.1906, 0.1906, 0.8796)
Bi (0.0117, 0.0117, 0.7167)
Bi (0.7982, 0.7982, 0.6834)
Bi (0.6006, 0.6006, 0.8037)
Bi (0.6030, 0.6030, 0.5182)
Bi (0.3932, 0.3932, 0.4845)
Bi (0.9856, 0.9856, 0.2818)
Bi (0.6985, 0.6985, 0.1079)
Bi (0.3944, 0.3944, 0.1995)
Te (0.8253, 0.8253, 0.9729)
Te (0.5983, 0.5983, 0.9340)
Te (0.4241, 0.4241, 0.7738)
Te (0.1940, 0.1940, 0.7402)
Te (0.0087, 0.0087, 0.8574)
Te (0.0182, 0.0182, 0.5777)
Te (0.7820, 0.7820, 0.8212)
Te (0.7916, 0.7916, 0.5428)
Te (0.6092, 0.6092, 0.6571)
Te (0.6145, 0.6145, 0.3818)
Te (0.3837, 0.3837, 0.6236)
Te (0.3919, 0.3919, 0.3434)
Te (0.2068, 0.2068, 0.4587)
Te (0.2279, 0.2279, 0.1726)
Te (0.9778, 0.9778, 0.4248)
Te (0.9862, 0.9862, 0.1467)
Te (0.8052, 0.8052, 0.2623)
Te (0.5747, 0.5747, 0.2233)
Te (0.4173, 0.4173, 0.0529)
Te (0.1691, 0.1691, 0.0299)

~~~~~

Computed, not measured: Sr2H6Pt after structural relaxation at the r²SCAN level of DFT.

Cell: 7.4466 7.4466 5.6192 Å, 90.00 90.00 135.60°
Last column: nearest neighbours and their distance in Å.
Element x y z (fractional)
Sr 0.6454 0.3546 0.0000  4 H 2.45-2.46
Sr 0.3546 0.6454 0.0000  4 H 2.45-2.46
Sr 0.8546 0.1454 0.5000  4 H 2.45-2.46
Sr 0.1454 0.8546 0.5000  4 H 2.45-2.46
H 0.8802 0.1198 0.0000  1 Pt 1.65
H 0.1198 0.8802 0.0000  1 Pt 1.65
H 0.6198 0.3802 0.5000  1 Pt 1.65
H 0.3802 0.6198 0.5000  1 Pt 1.65
H 0.0007 0.5007 0.2500  4 Sr 2.45-2.46, 4 H 2.68
H 0.9993 0.4993 0.7500  4 Sr 2.45-2.46, 4 H 2.68
H 0.4993 0.9993 0.7500  4 Sr 2.45-2.46, 4 H 2.68
H 0.5007 0.0007 0.2500  4 Sr 2.45-2.46, 4 H 2.68
H 0.2093 0.2093 0.2152  1 Pt 1.69
H 0.7907 0.7907 0.7848  1 Pt 1.69
H 0.2907 0.2907 0.7152  1 Pt 1.69
H 0.7093 0.7093 0.2848  1 Pt 1.69
Pt 0.0000 0.0000 0.0000  4 H 1.65-1.69
Pt 0.5000 0.5000 0.5000  4 H 1.65-1.69

Calculated values
Energy of formation from the pure elements in eV per formula unit: -6.0
Magnetization in μB per formula unit: 0.0


Computed, not measured: PuH3 after structural relaxation at the r²SCAN level of DFT.

Cell: 3.7530 3.7530 6.7305 Å, 90.00 90.00 120.00°
Last column: nearest neighbours and their distance in Å.
Element x y z (fractional)
Pu 0.6667 0.3333 0.7500  11 H 2.17-2.41
Pu 0.3333 0.6667 0.2500  11 H 2.17-2.41
H 0.3333 0.6667 0.9066  1 H 2.11, 1 Pu 2.31
H 0.6667 0.3333 0.4066  1 H 2.11, 1 Pu 2.31
H 0.0000 0.0000 0.2500  3 Pu 2.17, 6 H 2.41
H 0.0000 0.0000 0.7500  3 Pu 2.17, 6 H 2.41
H 0.3333 0.6667 0.5934  1 H 2.11, 1 Pu 2.31
H 0.6667 0.3333 0.0934  1 H 2.11, 1 Pu 2.31

Calculated values
Energy of formation from the pure elements in eV per formula unit: -2.5
Magnetization in μB per formula unit: 5.0


Computed, not measured: Rb3ZnH5 after structural relaxation at the r²SCAN level of DFT.

Cell: 8.0294 8.0294 8.0294 Å, 121.51 121.51 87.40°
Last column: nearest neighbours and their distance in Å.
Element x y z (fractional)
- - -

== Response ==
Formation energy from the elements ... -0.466 eV per atom
Final energy ... -129.70 eV for the cell shown

Cell lengths 14.9698, 14.9698, 23.3571 Å; angles 56.58, 56.58, 17.11 degrees
Atoms (fractional coordinates):
Sn (0.2017, 0.2017, 0.5957)
Sn (0.1975, 0.1975, 0.3269)
Sn (0.7967, 0.7967, 0.4026)
Sn (0.8328, 0.8328, 0.1037)
Sn (0.5788, 0.5788, 0.0862)
Bi (0.4103, 0.4103, 0.9126)
Bi (0.1906, 0.1906, 0.8796)
Bi (0.0117, 0.0117, 0.7167)
Bi (0.7982, 0.7982, 0.6834)
Bi (0.6006, 0.6006, 0.8037)
Bi (0.6030, 0.6030, 0.5182)
Bi (0.3932, 0.3932, 0.4845)
Bi (0.9856, 0.9856, 0.2818)
Bi (0.6985, 0.6985, 0.1079)
Bi (0.3944, 0.3944, 0.1995)
Te (0.8253, 0.8253, 0.9729)
Te (0.5983, 0.5983, 0.9340)
Te (0.4241, 0.4241, 0.7738)
Te (0.1940, 0.1940, 0.7402)
Te (0.0087, 0.0087, 0.8574)
Te (0.0182, 0.0182, 0.5777)
Te (0.7820, 0.7820, 0.8212)
Te (0.7916, 0.7916, 0.5428)
Te (0.6092, 0.6092, 0.6571)
Te (0.6145, 0.6145, 0.3818)
Te (0.3837, 0.3837, 0.6236)
Te (0.3919, 0.3919, 0.3434)
Te (0.2068, 0.2068, 0.4587)
Te (0.2279, 0.2279, 0.1726)
Te (0.9778, 0.9778, 0.4248)
Te (0.9862, 0.9862, 0.1467)
Te (0.8052, 0.8052, 0.2623)
Te (0.5747, 0.5747, 0.2233)
Te (0.4173, 0.4173, 0.0529)
Te (0.1691, 0.1691, 0.0299)

~~~~~

Computed, not measured: Sr2H6Pt after structural relaxation at the r²SCAN level of DFT.

Cell: 7.4466 7.4466 5.6192 Å, 90.00 90.00 135.60°
Last column: nearest neighbours and their distance in Å.
Element x y z (fractional)
Sr 0.6454 0.3546 0.0000  4 H 2.45-2.46
Sr 0.3546 0.6454 0.0000  4 H 2.45-2.46
Sr 0.8546 0.1454 0.5000  4 H 2.45-2.46
Sr 0.1454 0.8546 0.5000  4 H 2.45-2.46
H 0.8802 0.1198 0.0000  1 Pt 1.65
H 0.1198 0.8802 0.0000  1 Pt 1.65
H 0.6198 0.3802 0.5000  1 Pt 1.65
H 0.3802 0.6198 0.5000  1 Pt 1.65
H 0.0007 0.5007 0.2500  4 Sr 2.45-2.46, 4 H 2.68
H 0.9993 0.4993 0.7500  4 Sr 2.45-2.46, 4 H 2.68
H 0.4993 0.9993 0.7500  4 Sr 2.45-2.46, 4 H 2.68
H 0.5007 0.0007 0.2500  4 Sr 2.45-2.46, 4 H 2.68
H 0.2093 0.2093 0.2152  1 Pt 1.69
H 0.7907 0.7907 0.7848  1 Pt 1.69
H 0.2907 0.2907 0.7152  1 Pt 1.69
H 0.7093 0.7093 0.2848  1 Pt 1.69
Pt 0.0000 0.0000 0.0000  4 H 1.65-1.69
Pt 0.5000 0.5000 0.5000  4 H 1.65-1.69

Calculated values
Energy of formation from the pure elements in eV per formula unit: -6.0
Magnetization in μB per formula unit: 0.0


Computed, not measured: PuH3 after structural relaxation at the r²SCAN level of DFT.

Cell: 3.7530 3.7530 6.7305 Å, 90.00 90.00 120.00°
Last column: nearest neighbours and their distance in Å.
Element x y z (fractional)
Pu 0.6667 0.3333 0.7500  11 H 2.17-2.41
Pu 0.3333 0.6667 0.2500  11 H 2.17-2.41
H 0.3333 0.6667 0.9066  1 H 2.11, 1 Pu 2.31
H 0.6667 0.3333 0.4066  1 H 2.11, 1 Pu 2.31
H 0.0000 0.0000 0.2500  3 Pu 2.17, 6 H 2.41
H 0.0000 0.0000 0.7500  3 Pu 2.17, 6 H 2.41
H 0.3333 0.6667 0.5934  1 H 2.11, 1 Pu 2.31
H 0.6667 0.3333 0.0934  1 H 2.11, 1 Pu 2.31

Calculated values
Energy of formation from the pure elements in eV per formula unit: -2.5
Magnetization in μB per formula unit: 5.0


Computed, not measured: Rb3ZnH5 after structural relaxation at the r²SCAN level of DFT.

Cell: 8.0294 8.0294 8.0294 Å, 121.51 121.51 87.40°
Last column: nearest neighbours and their distance in Å.
Element x y z (fractional)